What to do:
Now echo the lines further below up to the one that holds "0.801", that line included.

Contents:
~~~
FePPdCl2 | GGA-PBE | relaxed

a b c (Å): 4.996 4.996 4.333
angles (deg): 90.00 90.00 90.00
Space group P4/mmm (No. 123)
Symmetry-distinct sites (fractional):
Fe (0.000, 0.000, 0.000) x1
P (0.000, 0.000, 0.500) x1
Pd (0.500, 0.500, 0.000) x1
Cl (0.000, 0.500, 0.500) x2

Properties
Crystal system: tetragonal
ΔE to the lowest computed polymorph, meV/atom: 195
M_tot, Bohr magnetons per cell: 3.060
Formation energy (no corrections), eV/atom: 0.604

=====

Record 1
Compound: Mg2Sn2Ru
Source: the Alexandria database
Functional: PBE
Structure: optimized geometry

a b c (Å): 7.0456 7.0456 4.3052
angles (deg): 90.00 90.00 90.00
Closest atoms and distances in Å follow each position.
Space group P4/mbm (No. 127)
Asymmetric unit:
Mg1 0.1673 0.3327 0.0000  6 Sn 2.85-3.08
Sn1 0.1453 0.6453 0.5000  2 Ru 2.70, 2 Mg 2.85, 1 Sn 2.90
Ru1 0.0000 0.0000 0.5000  4 Sn 2.70


Record 2
Compound: Mg2SnRu
Source: the Alexandria database
Functional: PBE
Structure: optimized geometry

a b c (Å): 4.1302 4.1302 4.2145
angles (deg): 90.00 90.00 90.00
Closest atoms and distances in Å follow each position.
Space group P4/mmm (No. 123)
Asymmetric unit:
Mg1 0.0000 0.5000 0.0000  4 Mg 2.92, 4 Sn 2.95, 4 Ru 2.95
Sn1 0.0000 0.0000 0.5000  4 Ru 2.92, 8 Mg 2.95
Ru1 0.5000 0.5000 0.5000  4 Sn 2.92, 8 Mg 2.95


Record 3
Compound: SrMgSn2Ru
Source: the Alexandria database
Functional: PBE
Structure: optimized geometry

a b c (Å): 5.1674 5.1674 5.0147
angles (deg): 90.00 90.00 90.00
Closest atoms and distances in Å follow each position.
Space group P4/mmm (No. 123)
Asymmetric unit:
Sr1 0.0000 0.0000 0.0000  8 Sn 3.60, 4 Mg 3.65
Mg1 0.5000 0.5000 0.0000  2 Ru 2.51
Sn1 0.0000 0.5000 0.5000  2 Ru 2.58
Ru1 0.5000 0.5000 0.5000  2 Mg 2.51, 4 Sn 2.58


Record 4
Compound: SrMg2SnRu
Source: the Alexandria database
Functional: PBE
Structure: optimized geometry

a b c (Å): 5.0727 5.0727 5.1115
angles (deg): 90.00 90.00 90.00
Closest atoms and distances in Å follow each position.
Space group P4/mmm (No. 123)
Asymmetric unit:
Sr1 0.0000 0.0000 0.0000  4 Sn 3.59, 8 Mg 3.60
Mg1 0.0000 0.5000 0.5000  2 Ru 2.54
Sn1 0.5000 0.5000 0.0000  2 Ru 2.56
Ru1 0.5000 0.5000 0.5000  4 Mg 2.54, 2 Sn 2.56


| no. | calculated density (g/cm³) | energy of formation (eV per atom) |
| --- | --- | --- |
| 1 | 6.02 | 0.023 |
| 2 | 6.20 | -0.064 |
| 3 | 5.59 | -0.228 |
| 4 | 4.49 | -0.201 |

=====

# 1
Compound: Th5FeHg
Source: the Alexandria database
Functional: GGA-PBE
Structure: relaxed

abc: 4.679 5.010 8.377
angles: 90.00 90.00 90.00
Fractional positions:
Fe 0.500 0.500 0.000
Th 0.500 0.500 0.500
Hg 0.000 0.000 0.500
Th 0.000 0.500 0.200
Th 0.500 0.000 0.801
Th 0.500 0.000 0.199
Th 0.000 0.500 0.800

Results
Volume ... 196 Å³ per cell
SG ... Pmmm (47)
DFT formation energy ... 1.6 kcal/mol of atoms
Total moment ... 0.0 μB/cell

***

# 2
Compound: Th3Fe3Hg
Source: the Alexandria database
Functional: GGA-PBE
Structure: relaxed

abc: 3.777 9.866 9.866
angles: 120.00 90.00 90.00
Site moments in Bohr magnetons follow the coordinates.
Fractional positions:
Th 0.750 0.677 0.052  -0.16
Th 0.250 0.323 0.948  -0.16
Fe 0.750 0.840 0.863  1.30
Fe 0.750 0.023 0.160  1.30
Hg 0.750 0.333 0.667  0.01
Fe 0.250 0.863 0.023  1.30
Fe 0.250 0.977 0.840  1.30
Hg 0.250 0.667 0.333  0.01
Th 0.750 0.948 0.624  -0.16
Fe 0.750 0.137 0.977  1.30
Th 0.250 0.624 0.677  -0.16
Fe 0.250 0.160 0.137  1.30
Th 0.250 0.052 0.376  -0.16
Th 0.750 0.376 0.323  -0.16

Results
Volume ... 318 Å³ per cell
SG ... P6_3/m (176)
DFT formation energy ... -1.6 kcal/mol of atoms
Total moment ... 6.3 μB/cell

***

# 3
Compound: Th3FeHg
Source: the Alexandria database
Functional: GGA-PBE
Structure: relaxed

abc: 3.886 9.455 14.971
angles: 90.00 90.00 90.00
Fractional positions:
Fe 0.250 0.833 0.436
Th 0.250 0.711 0.281
Fe 0.750 0.167 0.564
Th 0.250 0.211 0.219
Hg 0.250 0.566 0.669
Th 0.250 0.980 0.609
Hg 0.750 0.434 0.331
Fe 0.750 0.667 0.936
Th 0.750 0.673 0.502
Th 0.750 0.520 0.109
Fe 0.250 0.333 0.064
Th 0.750 0.289 0.719
Th 0.750 0.789 0.781
~~~

Here it is:
FePPdCl2 | GGA-PBE | relaxed

a b c (Å): 4.996 4.996 4.333
angles (deg): 90.00 90.00 90.00
Space group P4/mmm (No. 123)
Symmetry-distinct sites (fractional):
Fe (0.000, 0.000, 0.000) x1
P (0.000, 0.000, 0.500) x1
Pd (0.500, 0.500, 0.000) x1
Cl (0.000, 0.500, 0.500) x2

Properties
Crystal system: tetragonal
ΔE to the lowest computed polymorph, meV/atom: 195
M_tot, Bohr magnetons per cell: 3.060
Formation energy (no corrections), eV/atom: 0.604

=====

Record 1
Compound: Mg2Sn2Ru
Source: the Alexandria database
Functional: PBE
Structure: optimized geometry

a b c (Å): 7.0456 7.0456 4.3052
angles (deg): 90.00 90.00 90.00
Closest atoms and distances in Å follow each position.
Space group P4/mbm (No. 127)
Asymmetric unit:
Mg1 0.1673 0.3327 0.0000  6 Sn 2.85-3.08
Sn1 0.1453 0.6453 0.5000  2 Ru 2.70, 2 Mg 2.85, 1 Sn 2.90
Ru1 0.0000 0.0000 0.5000  4 Sn 2.70


Record 2
Compound: Mg2SnRu
Source: the Alexandria database
Functional: PBE
Structure: optimized geometry

a b c (Å): 4.1302 4.1302 4.2145
angles (deg): 90.00 90.00 90.00
Closest atoms and distances in Å follow each position.
Space group P4/mmm (No. 123)
Asymmetric unit:
Mg1 0.0000 0.5000 0.0000  4 Mg 2.92, 4 Sn 2.95, 4 Ru 2.95
Sn1 0.0000 0.0000 0.5000  4 Ru 2.92, 8 Mg 2.95
Ru1 0.5000 0.5000 0.5000  4 Sn 2.92, 8 Mg 2.95


Record 3
Compound: SrMgSn2Ru
Source: the Alexandria database
Functional: PBE
Structure: optimized geometry

a b c (Å): 5.1674 5.1674 5.0147
angles (deg): 90.00 90.00 90.00
Closest atoms and distances in Å follow each position.
Space group P4/mmm (No. 123)
Asymmetric unit:
Sr1 0.0000 0.0000 0.0000  8 Sn 3.60, 4 Mg 3.65
Mg1 0.5000 0.5000 0.0000  2 Ru 2.51
Sn1 0.0000 0.5000 0.5000  2 Ru 2.58
Ru1 0.5000 0.5000 0.5000  2 Mg 2.51, 4 Sn 2.58


Record 4
Compound: SrMg2SnRu
Source: the Alexandria database
Functional: PBE
Structure: optimized geometry

a b c (Å): 5.0727 5.0727 5.1115
angles (deg): 90.00 90.00 90.00
Closest atoms and distances in Å follow each position.
Space group P4/mmm (No. 123)
Asymmetric unit:
Sr1 0.0000 0.0000 0.0000  4 Sn 3.59, 8 Mg 3.60
Mg1 0.0000 0.5000 0.5000  2 Ru 2.54
Sn1 0.5000 0.5000 0.0000  2 Ru 2.56
Ru1 0.5000 0.5000 0.5000  4 Mg 2.54, 2 Sn 2.56


| no. | calculated density (g/cm³) | energy of formation (eV per atom) |
| --- | --- | --- |
| 1 | 6.02 | 0.023 |
| 2 | 6.20 | -0.064 |
| 3 | 5.59 | -0.228 |
| 4 | 4.49 | -0.201 |

=====

# 1
Compound: Th5FeHg
Source: the Alexandria database
Functional: GGA-PBE
Structure: relaxed

abc: 4.679 5.010 8.377
angles: 90.00 90.00 90.00
Fractional positions:
Fe 0.500 0.500 0.000
Th 0.500 0.500 0.500
Hg 0.000 0.000 0.500
Th 0.000 0.500 0.200
Th 0.500 0.000 0.801